_Input_
<<<
Record 1
First-principles (PBE) data for a relaxed structure of PrErScRu, as listed in Alexandria via LeMat-Bulk.

POSCAR file:
```
PrErScRu
1.0
-0.925 -2.935 -1.363
3.083 -1.230 0.556
-2.563 -2.857 7.892
Pr Er Ru Sc
1 1 1 1
Direct
0.000 0.000 0.084
0.500 0.500 0.749
0.000 0.000 0.559
0.500 0.500 0.393
```

* SG: No. 99
* energy of formation: -0.292 eV per atom

=====

Record 2
First-principles (PBE) data for a relaxed structure of Pm6CuHg5, as listed in Alexandria via LeMat-Bulk.

POSCAR file:
```
Pm6CuHg5
1.0
-4.993 -1.717 0.727
0.660 -4.507 -6.107
0.554 -9.007 1.955
Pm Hg Cu
6 5 1
Direct
0.500 0.763 0.000
0.838 0.595 0.323
0.838 0.081 0.323
0.500 0.237 0.000
0.162 0.919 0.677
0.162 0.405 0.677
0.000 0.500 0.000
0.672 0.172 0.656
0.328 0.828 0.344
0.333 0.334 0.333
0.667 0.666 0.667
0.000 0.000 0.000
```

* SG: No. 12
* energy of formation: -0.409 eV per atom

=====

Record 3
First-principles (PBE) data for a relaxed structure of Sc3CoI, as listed in Alexandria via LeMat-Bulk.

POSCAR file:
```
Sc3CoI
1.0
-4.411 1.177 -1.838
1.480 -1.432 -4.469
-1.604 -4.559 0.930
Sc Co I
3 1 1
Direct
0.500 0.000 0.000
0.000 0.500 0.000
0.000 0.000 0.500
0.000 0.000 0.000
0.500 0.500 0.500
```

* SG: No. 221
* E_form (uncorrected): -160.0 meV per atom

=====

Record 4
First-principles (PBE) data for a relaxed structure of NaPaNbO6, as listed in Alexandria via LeMat-Bulk.

POSCAR file:
```
NaPaNbO6
1.0
4.831 0.000 0.000
0.000 5.487 0.000
0.000 -2.743 4.752
Na Pa O Nb
1 1 6 1
Direct
0.500 0.667 0.333
0.000 0.333 0.667
0.263 0.681 0.964
0.737 0.036 0.319
0.737 0.681 0.718
0.737 0.282 0.964
0.263 0.282 0.319
0.263 0.036 0.718
0.500 0.000 0.000
```

* SG: No. 149
* E_form (uncorrected): -2562.9 meV per atom

=====

Number 1: total magnetic moment 0.00 μB per atom, DFT total energy -26.12 eV/f.u.. Number 2: total magnetic moment 0.15 μB per atom, DFT total energy -39.02 eV/f.u.. Number 3: total magnetic moment 0.00 μB per atom, DFT total energy -28.45 eV/f.u.. Number 4: total magnetic moment 0.11 μB per atom, DFT total energy -73.70 eV/f.u..


Entry from the Alexandria database: a relaxed structure of DyFe4Ge2 (PBE-GGA).

Lattice parameters (Å, degrees): 7.2223 7.2223 3.8608 90.00 90.00 90.00
Last column: nearest neighbours and their distance in Å.
Atoms (fractional coordinates):
Dy (0.5000, 0.5000, 0.0000)  6 Ge 2.90-2.93, 4 Fe 3.13
Dy (0.0000, 0.0000, 0.5000)  6 Ge 2.90-2.93, 4 Fe 3.13
Fe (0.4094, 0.8562, 0.5000)  3 Ge 2.43-2.44, 6 Fe 2.45-2.71
Fe (0.6438, 0.9094, 0.0000)  3 Ge 2.43-2.44, 6 Fe 2.45-2.71
Fe (0.0906, 0.3562, 0.0000)  3 Ge 2.43-2.44, 6 Fe 2.45-2.71
Fe (0.1438, 0.5906, 0.5000)  3 Ge 2.43-2.44, 6 Fe 2.45-2.71
Fe (0.8562, 0.4094, 0.5000)  3 Ge 2.43-2.44, 6 Fe 2.45-2.71
Fe (0.3562, 0.0906, 0.0000)  3 Ge 2.43-2.44, 6 Fe 2.45-2.71
Fe (0.5906, 0.1438, 0.5000)  3 Ge 2.43-2.44, 6 Fe 2.45-2.71
Fe (0.9094, 0.6438, 0.0000)  3 Ge 2.43-2.44, 6 Fe 2.45-2.71
Ge (0.7158, 0.7158, 0.5000)  6 Fe 2.43-2.44
Ge (0.2842, 0.2842, 0.5000)  6 Fe 2.43-2.44
Ge (0.2158, 0.7842, 0.0000)  6 Fe 2.43-2.44
Ge (0.7842, 0.2158, 0.0000)  6 Fe 2.43-2.44

Values from the calculation:
As for the space group: P4_2/mnm, No. 136. The total energy comes out at -7.1074 eV per atom. Its total magnetization is 12.5 μB/cell. For the offset from the most stable computed form, the calculation gives 0 meV per atom. The value obtained for the calculated formation energy is -0.295 eV/atom.


Model w:
Material: Ti2SnC
Method: DFT, meta-GGA SCAN
State: PBEsol geometry

Properties
Spin magnetization, Bohr magnetons per cell: 0.0
DOS(E_F), states/eV/f.u.: 1.269
Crystal system: hexagonal

Cell and atoms, written as CIF:
```
data_Ti2SnC
_symmetry_space_group_name_H-M 'P 63/m m c'
_symmetry_Int_Tables_number 194
_symmetry_space_group_name_Hall '-P 6c 2c'
_cell_length_a 3.1408
_cell_length_b 3.1408
_cell_length_c 13.6257
_cell_angle_alpha 90.00
_cell_angle_beta 90.00
_cell_angle_gamma 120.00
loop_
_atom_site_label
_atom_site_type_symbol
_atom_site_fract_x
_atom_site_fract_y
>>>
_Brief_
Please write out the data earlier on word for word.
_Reply_
Record 1
First-principles (PBE) data for a relaxed structure of PrErScRu, as listed in Alexandria via LeMat-Bulk.

POSCAR file:
```
PrErScRu
1.0
-0.925 -2.935 -1.363
3.083 -1.230 0.556
-2.563 -2.857 7.892
Pr Er Ru Sc
1 1 1 1
Direct
0.000 0.000 0.084
0.500 0.500 0.749
0.000 0.000 0.559
0.500 0.500 0.393
```

* SG: No. 99
* energy of formation: -0.292 eV per atom

=====

Record 2
First-principles (PBE) data for a relaxed structure of Pm6CuHg5, as listed in Alexandria via LeMat-Bulk.

POSCAR file:
```
Pm6CuHg5
1.0
-4.993 -1.717 0.727
0.660 -4.507 -6.107
0.554 -9.007 1.955
Pm Hg Cu
6 5 1
Direct
0.500 0.763 0.000
0.838 0.595 0.323
0.838 0.081 0.323
0.500 0.237 0.000
0.162 0.919 0.677
0.162 0.405 0.677
0.000 0.500 0.000
0.672 0.172 0.656
0.328 0.828 0.344
0.333 0.334 0.333
0.667 0.666 0.667
0.000 0.000 0.000
```

* SG: No. 12
* energy of formation: -0.409 eV per atom

=====

Record 3
First-principles (PBE) data for a relaxed structure of Sc3CoI, as listed in Alexandria via LeMat-Bulk.

POSCAR file:
```
Sc3CoI
1.0
-4.411 1.177 -1.838
1.480 -1.432 -4.469
-1.604 -4.559 0.930
Sc Co I
3 1 1
Direct
0.500 0.000 0.000
0.000 0.500 0.000
0.000 0.000 0.500
0.000 0.000 0.000
0.500 0.500 0.500
```

* SG: No. 221
* E_form (uncorrected): -160.0 meV per atom

=====

Record 4
First-principles (PBE) data for a relaxed structure of NaPaNbO6, as listed in Alexandria via LeMat-Bulk.

POSCAR file:
```
NaPaNbO6
1.0
4.831 0.000 0.000
0.000 5.487 0.000
0.000 -2.743 4.752
Na Pa O Nb
1 1 6 1
Direct
0.500 0.667 0.333
0.000 0.333 0.667
0.263 0.681 0.964
0.737 0.036 0.319
0.737 0.681 0.718
0.737 0.282 0.964
0.263 0.282 0.319
0.263 0.036 0.718
0.500 0.000 0.000
```

* SG: No. 149
* E_form (uncorrected): -2562.9 meV per atom

=====

Number 1: total magnetic moment 0.00 μB per atom, DFT total energy -26.12 eV/f.u.. Number 2: total magnetic moment 0.15 μB per atom, DFT total energy -39.02 eV/f.u.. Number 3: total magnetic moment 0.00 μB per atom, DFT total energy -28.45 eV/f.u.. Number 4: total magnetic moment 0.11 μB per atom, DFT total energy -73.70 eV/f.u..


Entry from the Alexandria database: a relaxed structure of DyFe4Ge2 (PBE-GGA).

Lattice parameters (Å, degrees): 7.2223 7.2223 3.8608 90.00 90.00 90.00
Last column: nearest neighbours and their distance in Å.
Atoms (fractional coordinates):
Dy (0.5000, 0.5000, 0.0000)  6 Ge 2.90-2.93, 4 Fe 3.13
Dy (0.0000, 0.0000, 0.5000)  6 Ge 2.90-2.93, 4 Fe 3.13
Fe (0.4094, 0.8562, 0.5000)  3 Ge 2.43-2.44, 6 Fe 2.45-2.71
Fe (0.6438, 0.9094, 0.0000)  3 Ge 2.43-2.44, 6 Fe 2.45-2.71
Fe (0.0906, 0.3562, 0.0000)  3 Ge 2.43-2.44, 6 Fe 2.45-2.71
Fe (0.1438, 0.5906, 0.5000)  3 Ge 2.43-2.44, 6 Fe 2.45-2.71
Fe (0.8562, 0.4094, 0.5000)  3 Ge 2.43-2.44, 6 Fe 2.45-2.71
Fe (0.3562, 0.0906, 0.0000)  3 Ge 2.43-2.44, 6 Fe 2.45-2.71
Fe (0.5906, 0.1438, 0.5000)  3 Ge 2.43-2.44, 6 Fe 2.45-2.71
Fe (0.9094, 0.6438, 0.0000)  3 Ge 2.43-2.44, 6 Fe 2.45-2.71
Ge (0.7158, 0.7158, 0.5000)  6 Fe 2.43-2.44
Ge (0.2842, 0.2842, 0.5000)  6 Fe 2.43-2.44
Ge (0.2158, 0.7842, 0.0000)  6 Fe 2.43-2.44
Ge (0.7842, 0.2158, 0.0000)  6 Fe 2.43-2.44

Values from the calculation:
As for the space group: P4_2/mnm, No. 136. The total energy comes out at -7.1074 eV per atom. Its total magnetization is 12.5 μB/cell. For the offset from the most stable computed form, the calculation gives 0 meV per atom. The value obtained for the calculated formation energy is -0.295 eV/atom.


Model w:
Material: Ti2SnC
Method: DFT, meta-GGA SCAN
State: PBEsol geometry

Properties
Spin magnetization, Bohr magnetons per cell: 0.0
DOS(E_F), states/eV/f.u.: 1.269
Crystal system: hexagonal

Cell and atoms, written as CIF:
```
data_Ti2SnC
_symmetry_space_group_name_H-M 'P 63/m m c'
_symmetry_Int_Tables_number 194
_symmetry_space_group_name_Hall '-P 6c 2c'
_cell_length_a 3.1408
_cell_length_b 3.1408
_cell_length_c 13.6257
_cell_angle_alpha 90.00
_cell_angle_beta 90.00
_cell_angle_gamma 120.00
loop_
_atom_site_label
_atom_site_type_symbol
_atom_site_fract_x
_atom_site_fract_y